Next, copy the contents further below exactly.

Entry 1:
Below is a relaxed structure of SmGe2Rh2, with properties calculated at the meta-GGA r2SCAN level.

Calculated values
As for the total energy: -22.124 eV per atom.

Unit cell a=5.9663 b=5.9663 c=5.9663 alpha=139.45 beta=139.45 gamma=58.68
Closest atoms and distances in Å follow each position.
Positions (direct):
1 Sm 0.0000 0.0000 0.0000  8 Ge 3.19, 8 Rh 3.32
2 Ge 0.3765 0.3765 0.0000  4 Rh 2.45, 1 Ge 2.57
3 Ge 0.6235 0.6235 0.0000  4 Rh 2.45, 1 Ge 2.57
4 Rh 0.2500 0.7500 0.5000  4 Ge 2.45
5 Rh 0.7500 0.2500 0.5000  4 Ge 2.45

Entry 2:
Below is a relaxed structure of ThInAg2, with properties calculated at the meta-GGA r2SCAN level.

Calculated values
As for the total energy: -34.945 eV per atom.

Unit cell a=5.0533 b=5.0533 c=5.0533 alpha=60.00 beta=60.00 gamma=60.00
Closest atoms and distances in Å follow each position.
Positions (direct):
1 Th 0.0000 0.0000 0.0000  8 Ag 3.09
2 In 0.5000 0.5000 0.5000  8 Ag 3.09
3 Ag 0.2500 0.2500 0.2500  4 In 3.09, 4 Th 3.09
4 Ag 0.7500 0.7500 0.7500  4 In 3.09, 4 Th 3.09

Entry 3:
Below is a relaxed structure of Zr, with properties calculated at the meta-GGA r2SCAN level.

Calculated values
As for the total energy: -22.750 eV per atom. For the energy above the most stable polymorph in this dataset, the calculation gives 0.000 eV/atom.

Unit cell a=3.2392 b=3.2392 c=5.1722 alpha=90.00 beta=90.00 gamma=120.00
Closest atoms and distances in Å follow each position.
Positions (direct):
1 Zr 0.3333 0.6667 0.2500  12 Zr 3.19-3.24
2 Zr 0.6667 0.3333 0.7500  12 Zr 3.19-3.24

Entry 4:
Below is a relaxed structure of Ba2In, with properties calculated at the meta-GGA r2SCAN level.

Calculated values
As for the total energy: -25.560 eV per atom.

Unit cell a=8.1585 b=5.9577 c=11.0658 alpha=90.00 beta=90.00 gamma=90.00
Closest atoms and distances in Å follow each position.
Positions (direct):
1 Ba 0.0225 0.2500 0.1921  3 In 3.70-3.75, 3 Ba 4.08-4.09
2 Ba 0.1759 0.2500 0.5747  4 In 3.57-3.66
3 Ba 0.3241 0.7500 0.0747  4 In 3.57-3.66
4 Ba 0.4775 0.7500 0.6921  3 In 3.70-3.75, 3 Ba 4.08-4.09
5 Ba 0.5225 0.2500 0.3079  3 In 3.70-3.75, 3 Ba 4.08-4.09
6 Ba 0.6759 0.2500 0.9253  4 In 3.57-3.66
7 Ba 0.8241 0.7500 0.4253  4 In 3.57-3.66
8 Ba 0.9775 0.7500 0.8079  3 In 3.70-3.75, 3 Ba 4.08-4.09
9 In 0.2297 0.2500 0.8949  7 Ba 3.57-3.75
10 In 0.2703 0.7500 0.3949  7 Ba 3.57-3.75
11 In 0.7297 0.2500 0.6051  7 Ba 3.57-3.75
12 In 0.7703 0.7500 0.1051  7 Ba 3.57-3.75

Entry 5:
Below is a relaxed structure of PmSmTl2, with properties calculated at the meta-GGA r2SCAN level.

Calculated values
As for the total energy: -41.907 eV per atom.

Unit cell a=5.4495 b=5.4495 c=5.4495 alpha=60.00 beta=60.00 gamma=60.00
Closest atoms and distances in Å follow each position.
Positions (direct):
1 Pm 0.0000 0.0000 0.0000  8 Tl 3.34
2 Sm 0.5000 0.5000 0.5000  8 Tl 3.34
3 Tl 0.2500 0.2500 0.2500  4 Sm 3.34, 4 Pm 3.34
4 Tl 0.7500 0.7500 0.7500  4 Sm 3.34, 4 Pm 3.34

Entry 6:
Below is a relaxed structure of H, with properties calculated at the meta-GGA r2SCAN level.

Calculated values
As for the total energy: -3.060 eV per atom. For the energy above the most stable polymorph in this dataset, the calculation gives 0.395 eV/atom.

Unit cell a=0.9794 b=2.7107 c=2.7233 alpha=118.11 beta=92.38 gamma=92.06
Closest atoms and distances in Å follow each position.
Positions (direct):
1 H 0.0000 0.0000 0.0000  2 H 0.98

Entry 7:
Below is a relaxed structure of RbSrI3, with properties calculated at the meta-GGA r2SCAN level.

Calculated values
As for the total energy: -22.423 eV per atom.

Unit cell a=8.2669 b=8.2669 c=12.1483 alpha=90.00 beta=90.00 gamma=146.13
Closest atoms and distances in Å follow each position.
Positions (direct):
1 Rb 0.2503 0.7497 0.7500  6 I 3.66-3.81
2 Rb 0.7497 0.2503 0.2500  6 I 3.66-3.81
3 Sr 0.0000 0.0000 0.0000  6 I 3.26-3.31
4 Sr 0.0000 0.0000 0.5000  6 I 3.26-3.31
5 I 0.0755 0.9245 0.2500  2 Sr 3.26
6 I 0.3629 0.6371 0.0567  2 Sr 3.31
7 I 0.3629 0.6371 0.4433  2 Sr 3.31
8 I 0.6371 0.3629 0.5567  2 Sr 3.31

Entry 1:
Below is a relaxed structure of SmGe2Rh2, with properties calculated at the meta-GGA r2SCAN level.

Calculated values
As for the total energy: -22.124 eV per atom.

Unit cell a=5.9663 b=5.9663 c=5.9663 alpha=139.45 beta=139.45 gamma=58.68
Closest atoms and distances in Å follow each position.
Positions (direct):
1 Sm 0.0000 0.0000 0.0000  8 Ge 3.19, 8 Rh 3.32
2 Ge 0.3765 0.3765 0.0000  4 Rh 2.45, 1 Ge 2.57
3 Ge 0.6235 0.6235 0.0000  4 Rh 2.45, 1 Ge 2.57
4 Rh 0.2500 0.7500 0.5000  4 Ge 2.45
5 Rh 0.7500 0.2500 0.5000  4 Ge 2.45

Entry 2:
Below is a relaxed structure of ThInAg2, with properties calculated at the meta-GGA r2SCAN level.

Calculated values
As for the total energy: -34.945 eV per atom.

Unit cell a=5.0533 b=5.0533 c=5.0533 alpha=60.00 beta=60.00 gamma=60.00
Closest atoms and distances in Å follow each position.
Positions (direct):
1 Th 0.0000 0.0000 0.0000  8 Ag 3.09
2 In 0.5000 0.5000 0.5000  8 Ag 3.09
3 Ag 0.2500 0.2500 0.2500  4 In 3.09, 4 Th 3.09
4 Ag 0.7500 0.7500 0.7500  4 In 3.09, 4 Th 3.09

Entry 3:
Below is a relaxed structure of Zr, with properties calculated at the meta-GGA r2SCAN level.

Calculated values
As for the total energy: -22.750 eV per atom. For the energy above the most stable polymorph in this dataset, the calculation gives 0.000 eV/atom.

Unit cell a=3.2392 b=3.2392 c=5.1722 alpha=90.00 beta=90.00 gamma=120.00
Closest atoms and distances in Å follow each position.
Positions (direct):
1 Zr 0.3333 0.6667 0.2500  12 Zr 3.19-3.24
2 Zr 0.6667 0.3333 0.7500  12 Zr 3.19-3.24

Entry 4:
Below is a relaxed structure of Ba2In, with properties calculated at the meta-GGA r2SCAN level.

Calculated values
As for the total energy: -25.560 eV per atom.

Unit cell a=8.1585 b=5.9577 c=11.0658 alpha=90.00 beta=90.00 gamma=90.00
Closest atoms and distances in Å follow each position.
Positions (direct):
1 Ba 0.0225 0.2500 0.1921  3 In 3.70-3.75, 3 Ba 4.08-4.09
2 Ba 0.1759 0.2500 0.5747  4 In 3.57-3.66
3 Ba 0.3241 0.7500 0.0747  4 In 3.57-3.66
4 Ba 0.4775 0.7500 0.6921  3 In 3.70-3.75, 3 Ba 4.08-4.09
5 Ba 0.5225 0.2500 0.3079  3 In 3.70-3.75, 3 Ba 4.08-4.09
6 Ba 0.6759 0.2500 0.9253  4 In 3.57-3.66
7 Ba 0.8241 0.7500 0.4253  4 In 3.57-3.66
8 Ba 0.9775 0.7500 0.8079  3 In 3.70-3.75, 3 Ba 4.08-4.09
9 In 0.2297 0.2500 0.8949  7 Ba 3.57-3.75
10 In 0.2703 0.7500 0.3949  7 Ba 3.57-3.75
11 In 0.7297 0.2500 0.6051  7 Ba 3.57-3.75
12 In 0.7703 0.7500 0.1051  7 Ba 3.57-3.75

Entry 5:
Below is a relaxed structure of PmSmTl2, with properties calculated at the meta-GGA r2SCAN level.

Calculated values
As for the total energy: -41.907 eV per atom.

Unit cell a=5.4495 b=5.4495 c=5.4495 alpha=60.00 beta=60.00 gamma=60.00
Closest atoms and distances in Å follow each position.
Positions (direct):
1 Pm 0.0000 0.0000 0.0000  8 Tl 3.34
2 Sm 0.5000 0.5000 0.5000  8 Tl 3.34
3 Tl 0.2500 0.2500 0.2500  4 Sm 3.34, 4 Pm 3.34
4 Tl 0.7500 0.7500 0.7500  4 Sm 3.34, 4 Pm 3.34

Entry 6:
Below is a relaxed structure of H, with properties calculated at the meta-GGA r2SCAN level.

Calculated values
As for the total energy: -3.060 eV per atom. For the energy above the most stable polymorph in this dataset, the calculation gives 0.395 eV/atom.

Unit cell a=0.9794 b=2.7107 c=2.7233 alpha=118.11 beta=92.38 gamma=92.06
Closest atoms and distances in Å follow each position.
Positions (direct):
1 H 0.0000 0.0000 0.0000  2 H 0.98

Entry 7:
Below is a relaxed structure of RbSrI3, with properties calculated at the meta-GGA r2SCAN level.

Calculated values
As for the total energy: -22.423 eV per atom.

Unit cell a=8.2669 b=8.2669 c=12.1483 alpha=90.00 beta=90.00 gamma=146.13
Closest atoms and distances in Å follow each position.
Positions (direct):
1 Rb 0.2503 0.7497 0.7500  6 I 3.66-3.81
2 Rb 0.7497 0.2503 0.2500  6 I 3.66-3.81
3 Sr 0.0000 0.0000 0.0000  6 I 3.26-3.31
4 Sr 0.0000 0.0000 0.5000  6 I 3.26-3.31
5 I 0.0755 0.9245 0.2500  2 Sr 3.26
6 I 0.3629 0.6371 0.0567  2 Sr 3.31
7 I 0.3629 0.6371 0.4433  2 Sr 3.31
8 I 0.6371 0.3629 0.5567  2 Sr 3.31